Dennis P. Lockhart
President and Chief Executive Officer
Federal Reserve Bank of Atlanta

Third Annual Rocky Mountain Economic Summit
Jackson Hole, Wyo.
July 29, 2011

Key Points
Lockhart expects greater economic strength in the second half of 2011 and 2012, accompanied by inflation numbers that are converging to around 2 percent. He believes that we are in a temporary slowdown. As temporary negative forces of the first half of the year recede and positive forces gather strength, consumer spending should strengthen and joblessness decline.
However, Lockhart thinks that a continuing flow of weak numbers through the third quarter and into the fourth will call for a reconsideration of this relatively optimistic forecast. While at present Lockhart does not see much risk of another outright recession, he does not dismiss the possibility that the United States may be in a persistently slow recovery that portends high unemployment and painful structural adjustments.
If the U.S. economy is in a world of persistently slow growth, the FOMC, in Lockhart's view, may have to define a supportive policy stance that will be held in place for quite a long period while letting nonmonetary fixes do their work.
For now, Lockhart is not yet ready to change his more optimistic base case outlook. If this outlook becomes reality, he expects conditions to develop that will support an argument in favor of policy normalization certainly by the end of 2012. At the moment, Lockhart supports a wait-and-see approach because he cannot tell with enough certainty whether the slowdown will prove temporary or whether the United States is in a persistently slow recovery.

Photo of Dennis LockhartSome data for the first half of the year have once again raised questions about the strength and durability of the economic recovery. The lack of recent progress in bringing down unemployment has provoked a debate in economic circles about the extent of structural factors holding back hiring. The measured economic weakness combined with falling confidence and heightened uncertainty is feeding concern about the deeper character of the country's economic problems. Just what is the nature of this economic situation we are dealing with?

Today I want to share some necessarily tentative thoughts about this question. At the moment, I'm in wait-and-see mode. I'm not ready to make a call, but I will outline the Atlanta Federal Reserve Bank's diagnosis of the situation, how we are framing the question I just posed, and implications for monetary policy.

As always, I will be discussing my personal views. They may not be shared by my colleagues on the Federal Open Market Committee (FOMC) or in the Federal Reserve System.

Recent economic performance
To repeat, incoming data on the economy have been disappointing, on balance, relative to expectations.

The expectation at the beginning of the year was for carryover of the relatively solid fourth quarter into 2011. This expectation was undermined to some extent by weather events, the spike in gasoline prices, and the effects of the Japanese tsunami.

At the end of the first quarter, the expectation was that the effects of the one-off factors I just mentioned would be transitory and that a stepped-up improvement in the economy would begin in the second quarter.

The advance estimate of the second quarter gross domestic product (GDP) growth released this morning was much lower than the consensus view among economists just three months ago. (GDP growth was substantially revised down for the first quarter of this year as well.) Weaker than previously expected growth in the second quarter has caused a significant write-down of the full year GDP growth estimate by most forecasters. Overall, it appears that the economy is experiencing a pretty broad-based slowdown. In spite of this, corporate profits and cash accumulation remain strong because corporations have positioned themselves to perform well in a weak or even mildly weakening environment.

Indicators of inflation began to reflate last fall, evidenced mostly by a sharp rise in commodity prices, including oil. However, a firming of price pressures more generally was fairly evident.

The period of elevated inflation has lasted longer than expected even with the retreat of some key commodity prices, especially oil. There were hints of easing price pressure in the June headline consumer price report. But the broadening of the phenomenon of rising prices within a number of inflation measures suggests an ongoing pass-through of commodity and import costs as well as a more receptive general environment for price increases.

That said, inflation expectations seem to support the proposition of temporary price pressures. Short-term inflation expectations are significantly higher than they were a few months ago, but longer-term expectations appear to remain well-anchored.

The level of unemployment has been stuck around 9 percent or a little higher for the first half of the year. Notwithstanding three months of encouraging job creation numbers from February through April, the overall labor market situation has been static. The most recent employment report reflecting June's data has triggered some amount of angst regarding the true nature of the economy we're dealing with.

Emerging debate—what kind of recovery are we in?
My staff and I have recently been pondering the following questions: Are we experiencing a temporary slowdown—a soft patch—on a recovery path that should return to a rate of 3 to 4 percent GDP growth? Or, instead, are we dealing with an inherently slower pace of economic growth that, because of some combination of persistent economic headwinds and deeper structural adjustment requirements, has the potential to be of much longer duration and more intractable?

I detect an emerging debate on this basic question among close observers of the economy.

In thinking about this question, our Reserve Bank has used the long-term trend rate of growth as a point of reference. Our estimate of the long-run trend rate of growth—also called the long-term sustainable rate of growth—is 2.5 percent. This is essentially the central tendency of the FOMC's longer-term growth projection.

The debate isn't so much about this trend, but about whether the economy will approach it from above, after some quarters of faster growth, or below, with a much slower recovery. The former means we make up for lost ground in the foreseeable future; the latter means we don't. Which world are we in?

Approaching trend growth from above is a more mainstream perspective. The economy by almost every metric has significant slack that would ordinarily be absorbed. Consequently, a traditional economic forecast would build in a period of growth above trend following a recession so as to eventually take the slack out of the economic system.

When I say "traditional forecast" I am referencing the historical experience of some quarters of above-trend growth after recessions. It's a fair generalization to say that in the decades after the Second World War, recessions have regularly been followed by periods of above potential growth in GDP. The implication is that resource slack was eliminated during the course of every postwar expansion, though the length of time required to accomplish this has varied across business cycles.

Approaching the trend rate from below is something quite different. Converging to the trend rate from quarterly or annual GDP growth rates under 2.5 percent could amount to a very long fight against economic problems and imbalances.

And growing only at the trend rate during a recovery may very well prevent reemploying and redeploying the resources that were idled over the course of the recession.

To elaborate, based on historical experience, an economy growing in the neighborhood of 2.5 percent would tend to be associated with net new jobs growth of a little less than 100,000 per month. In our current circumstances, this will likely not be enough to produce a meaningful decline in the rate of unemployment. This shirt-sleeve computation makes clear what can be at stake—a recovery that approaches potential from below hints at substantial and persistent misallocation of national resources, notably labor resources.

Case for the "from below" thesis
While at present I do not see much risk of another outright recession, I don't think we can dismiss the possibility that we're in a persistent slow-growth recovery, with all the challenges this presents.

Here's the case for this viewpoint: first, economies are very slow to recover after a recession caused by a severe financial shock. This is the thesis put forward by Carmen Reinhart and Kenneth Rogoff in their work on recoveries following financial crises.

More generally, this view holds that we're dealing with problems that are more structural in character than cyclical. Foremost among these hindrances, in my view, is the need for fundamental fiscal rebalancing that will take several years. Also included is a banking and financial system that, although much healthier, still must go through a lot of structural change in the way of consolidation, adaptation to intensified regulation, and adjustment of business models. Another hindrance, the removal of which will take time, is the depressed state of the housing market, including house values. Improvement of the housing sector is likely to involve reform of national housing policy, a political issue that may not be addressed in the near term.

Related to house values is the shock incurred by households and the likelihood of continuing deleveraging, perhaps for quite a long time, with the weakness this suggests for consumer activity.

Finally, this view holds that there are real structural aspects of the high unemployment we're experiencing.

Argument for the "from above" thesis
The more mainstream view of the world we're in is that of a temporary slowdown to be followed by above trend growth. This view is based on the argument that there have been some very unusual developments in the first half of the year that either won't reoccur or that have generated the adjustments necessary to weaken their effect going forward. Key among these one-time shocks is the rise in oil prices and gasoline resulting from the loss of Libyan production and the higher risk premium tied to the potential for supply interruption in the Middle East. Another shock was the greater-than-initially-anticipated supply chain disruption caused by the Japanese earthquake and tsunami. A third factor contributing to a slowdown is the uncertainty associated with the debt ceiling in the United States and the debt crisis in Europe.

In this view, the assumption is that the effects of these one-off developments will be short-lived.

These calculated crystals were left in the entry by mistake:
____________
# 1
KZn2CdBr: relaxed, PBE.

Unit cell a=5.108 b=6.607 c=5.108 alpha=90.00 beta=90.00 gamma=90.00
Fractional positions:
Zn: 0.000 0.000 0.500
Zn: 0.500 0.000 0.000
K: 0.500 0.500 0.500
Br: 0.000 0.500 0.000
Cd: 0.000 0.000 0.000

Results
calculated total energy = -7.4 eV for the cell shown
formation energy from raw total energies = -1.2 eV/f.u.
crystal system = tetragonal


# 2
PrSc2Cu2Si2: relaxed, PBE.

Unit cell a=4.208 b=4.208 c=9.037 alpha=76.54 beta=76.54 gamma=60.00
Fractional positions:
Pr: 0.000 0.000 0.000
Sc: 0.132 0.132 0.604
Sc: 0.868 0.868 0.396
Cu: 0.584 0.584 0.249
Cu: 0.416 0.416 0.751
Si: 0.748 0.748 0.755
Si: 0.252 0.252 0.245

Results
calculated total energy = -40.2 eV for the cell shown
formation energy from raw total energies = -3.7 eV/f.u.
crystal system = trigonal


# 3
CaMo2HRu: relaxed, PBE.

Unit cell a=4.702 b=4.607 c=4.702 alpha=90.00 beta=90.00 gamma=90.00
Fractional positions:
Ru: 0.000 0.500 0.000
Mo: 0.000 0.000 0.500
Mo: 0.500 0.000 0.000
Ca: 0.000 0.000 0.000
H: 0.500 0.500 0.500

Results
calculated total energy = -19.9 eV for the cell shown
crystal system = tetragonal


# 4
BaSb2Rh3: relaxed, PBE.

Unit cell a=4.281 b=8.597 c=8.386 alpha=112.90 beta=90.00 gamma=104.42
Fractional positions:
Ba: 0.849 0.698 0.937
Ba: 0.151 0.302 0.063
Sb: 0.473 0.946 0.793
Sb: 0.527 0.054 0.207
Sb: 0.814 0.628 0.336
Sb: 0.186 0.372 0.664
Rh: 0.314 0.628 0.551
Rh: 0.959 0.917 0.614
Rh: 0.584 0.168 0.648
Rh: 0.416 0.832 0.352
Rh: 0.041 0.083 0.386
Rh: 0.686 0.372 0.449

Results
calculated total energy = -71.0 eV for the cell shown
formation energy from raw total energies = -3.3 eV/f.u.
crystal system = monoclinic
energy above the most stable polymorph in this dataset = 15 meV per atom


# 5
PrZn3Au3: relaxed, PBE.

Unit cell a=6.995 b=6.995 c=6.995 alpha=90.00 beta=90.00 gamma=90.00
Fractional positions:
Pr: 0.500 0.500 0.500
Pr: 0.000 0.000 0.000
Zn: 0.000 0.250 0.500
Zn: 0.000 0.750 0.500
Zn: 0.500 0.000 0.750
Zn: 0.750 0.500 0.000
Zn: 0.500 0.000 0.250
Zn: 0.250 0.500 0.000
Au: 0.250 0.000 0.500
Au: 0.000 0.500 0.250
Au: 0.500 0.750 0.000
Au: 0.750 0.000 0.500
Au: 0.000 0.500 0.750
Au: 0.500 0.250 0.000

Results
calculated total energy = -37.6 eV for the cell shown
energy of formation from the pure elements = -0.347 eV/f.u.
crystal system = cubic
energy above the most stable polymorph in this dataset = 312 meV per atom


# 6
TbY2N: relaxed, PBE.

Unit cell a=3.500 b=3.500 c=9.223 alpha=79.06 beta=79.06 gamma=60.00
Fractional positions:
Y: 0.283 0.283 0.151
Y: 0.717 0.717 0.849
Tb: 0.500 0.500 0.500
N: 0.000 0.000 0.000

Results
calculated total energy = -29.0 eV for the cell shown
formation energy from raw total energies = -3.1 eV/f.u.
crystal system = trigonal
energy above the most stable polymorph in this dataset = 0 meV per atom

* * * * *

The following is a DFT calculation (meta-GGA SCAN) of USe2 at its PBEsol-relaxed geometry.

Structure (extended XYZ):
```
30
____________

There are also a number of strong positive forces that should continue adding to the strength of the recovery. For example, exports and business investment in equipment and software are likely to remain major contributors to growth. Economic expansion in our major trading partners remains relatively strong. U.S. exporters should benefit from sustained foreign demand. Nearly half of U.S. exports are sold in emerging markets, which are expected to continue outperforming advanced economies. Meanwhile, low borrowing costs, ample cash, and continued search for efficiency gains are likely to support business investment.

As temporary negative influences recede and positive forces gather strength, the all-important factor of confidence should build, with the result that consumer spending strengthens and joblessness declines.

So there you have two views of the economic world we're in. I realize the real world isn't this binary, but my staff and I have found the "from below versus from above" thought process a useful device.

My base case forecast is consistent with this latter view of the recovery. I am expecting greater strength in the second half of 2011 and into 2012, accompanied by inflation numbers that converge to around 2 percent. But, as I said, I don't dismiss the possibility that we're in the alternative, more problematic world I described of low and slow growth improving only very gradually. At this juncture, I think we have to wait and see what the incoming data indicate.

Decision framework
An obvious question is, what evidence would push me to switch to the "from below" narrative?

I don't believe conclusive evidence will come together in the very near term. It's entirely possible the headwinds that affected the first half of 2011 will exert a drag on the economy further into the year. Such an outcome could still be consistent with the more optimistic characterization of the economy even if the timing of an eventual resumption of above trend growth is off. It's also entirely possible that ambiguity will persist for some time.

But to try to put some time limit on indecision, I think a continuing flow of weak numbers through the third quarter and into the fourth will call for a serious reconsideration of the situation. The weight of cumulative data could point to a different order of problem—that is, different than just a passing slowdown—if indicators show continued weakness much past year's end.

It also needs to be said that the relatively optimistic base case forecast has been conditioned on the assumption of no new shock effects—that is to say, there will not be another oil price shock, the European debt situation will be contained, and we will get to the other side of the U.S. debt limit matter without serious downside developments.

Policy implications of the two diagnoses
If we're in a temporary slow period of a recovery that will shortly return to faster growth, as my base case forecast suggests, I would favor a stance of monetary policy that maintains current policy accommodation at least until it's clear the labor market is improving again and growth indicators show sustained improvement. This assumes well-behaved inflation, of course.

I think patience with the current policy is appropriate for this forecast even if the ramp-up in growth takes somewhat longer than expected.

Though this baseline forecast could call for keeping the current highly accommodative policy in place for some time, on balance I think steps toward normalization of policy are more likely than additional steps in the direction of easing.

If, however, I come to conclude that we're in a world that portends a long period of very weak growth, high unemployment, and painful structural adjustment, the much-anticipated policy normalization may have to be rethought. The FOMC, in my view, may have to define a supportive policy stance that will be held in place for quite a long period while letting what are essentially nonmonetary policy fixes do their work. Among the nonmonetary fixes are policies to address labor market gaps and fiscal rebalancing implemented over a number of years.

If the more optimistic forecast I've outlined comes true, I expect conditions to develop that will support an argument in favor of policy normalization certainly by the end of 2012. If, however, we're facing prospects of long and persistent weakness, I favor keeping all options open.

Still expect strong second half
I am not yet ready to shift away from the more optimistic outlook I presented. I feel it's premature to abandon the expectation of a stronger second half that will bring renewed gradual progress on unemployment and a leveling out of inflation pressures. I'm not resigned to the view that we are dealing with economic problems that are more persistent and intractable than I thought.

I support a wait-and-see approach because, at the moment, we cannot tell with enough certainty whether the economy is likely to approach its long-term trend rate of growth from above or below. I need some more time before making that call.